: Doctor Marcus

"Good morning, father," I greeted with a smile as I settled into the chair beside him.

Mother instructed the maid to prepare my breakfast. "Dear, how was your sleep? Is your head still hurting?"

   I touched the bandage on my head. If mother hadn't reminded me, I might have forgotten about it. I shook my head. "My sleep was great. I slept like a baby. My head doesn't hurt either. You shouldn't worry too much, mother. The doctor said I'm already okay and just need to take some rest."

   My mother sighed in relief. "You're our only daughter. Of course, I will worry." She then glanced at my father. "This is why I hesitated to let you join us on this trip. We should have just had you stay at the dormitory."

  My father looked at me and held my hand that is on the table. I could tell they partly blamed themselves for letting me accompany them to the western region. However, they couldn't change it. I had written in the notebook that Csille would join them, so it was inevitable.

  "Father, mother, please stop blaming yourselves. No one wanted that accident to happen, and it was out of anyone's control. I know you wouldn't want me to risk my life, but I also promised his majesty, the King, to protect Prince Fraser's life. If you can do that, why can't I? As the noble daughter of the Count and the Countess, it's my duty to serve the Kingdom with all my might."

    I gently held my father's hand. "Father, mother, please don't blame yourselves. If anyone's to blame, it's the person responsible for the shooting. Prince Fraser wouldn't want you to feel that way either. It's better to think of ways to catch the culprit."

Father nodded and released my hand. He paused, intending to touch my head but hesitated upon seeing the bandages. "Don't fret. We're already taking action. The King has dispatched an investigator and royal guards to handle the matter."

=====
Record 1
The following is a calculated X-ray powder pattern of NdH4Pd3. It was derived from a GGA-PBE-relaxed structure, using Cu Kα.

Main lines, in order of rising 2θ (2θ from 10° to 90°):
32.1 deg, d 2.791, rel. 42.2
36.0 deg, d 2.496, rel. 95.7
39.5 deg, d 2.279, rel. 100.0
57.2 deg, d 1.611, rel. 5.8
59.7 deg, d 1.548, rel. 21.4
62.2 deg, d 1.492, rel. 52.1
67.1 deg, d 1.395, rel. 17.9
76.3 deg, d 1.248, rel. 14.1
78.5 deg, d 1.218, rel. 18.9
80.8 deg, d 1.190, rel. 12.3

Atomic structure:
```
data_NdH4Pd3
_cell_length_a 5.5815
_cell_length_b 5.5815
_cell_length_c 5.5815
_cell_angle_alpha 90.00
_cell_angle_beta 90.00
_cell_angle_gamma 90.00
_symmetry_space_group_name_H-M 'P 1'
_symmetry_Int_Tables_number 1
_symmetry_space_group_name_Hall 'P 1'
loop_
_atom_site_label
_atom_site_fract_x
_atom_site_fract_y
_atom_site_fract_z
Nd1 0.0000 0.0000 0.0000
Nd2 0.5000 0.5000 0.5000
H1 0.2500 0.2500 0.2500
H2 0.2500 0.2500 0.7500
H3 0.2500 0.7500 0.2500
H4 0.2500 0.7500 0.7500
H5 0.7500 0.2500 0.2500
H6 0.7500 0.2500 0.7500
H7 0.7500 0.7500 0.2500
H8 0.7500 0.7500 0.7500
Pd1 0.0000 0.2500 0.5000
Pd2 0.0000 0.7500 0.5000
Pd3 0.2500 0.5000 0.0000
Pd4 0.5000 0.0000 0.2500
Pd5 0.5000 0.0000 0.7500
Pd6 0.7500 0.5000 0.0000
```

Record 2
The following is a calculated X-ray powder pattern of NdHPd3. It was derived from a GGA-PBE-relaxed structure, using Cu Kα.

Main lines, in order of rising 2θ (2θ from 10° to 90°):
35.9 deg, d 2.505, rel. 35.9
36.6 deg, d 2.455, rel. 100.0
42.3 deg, d 2.137, rel. 66.5
60.9 deg, d 1.522, rel. 22.3
61.9 deg, d 1.500, rel. 21.0
72.7 deg, d 1.301, rel. 13.1
73.6 deg, d 1.287, rel. 24.8
74.1 deg, d 1.280, rel. 12.1
76.0 deg, d 1.252, rel. 3.9
77.8 deg, d 1.227, rel. 10.5

Atomic structure:
```
data_NdHPd3
_cell_length_a 4.2741
_cell_length_b 4.2741
_cell_length_c 4.2741
_cell_angle_alpha 89.13
_cell_angle_beta 89.13
_cell_angle_gamma 89.13
_symmetry_space_group_name_H-M 'P 1'
_symmetry_Int_Tables_number 1
_symmetry_space_group_name_Hall 'P 1'
loop_
_atom_site_label
_atom_site_fract_x
_atom_site_fract_y
_atom_site_fract_z
Nd1 0.0000 0.0000 0.0000
H1 0.6554 0.6554 0.6554
Pd1 0.0152 0.4960 0.4960
Pd2 0.4960 0.0152 0.4960
Pd3 0.4960 0.4960 0.0152
```

Record 3
The following is a calculated X-ray powder pattern of NdH8Pd3Pt2. It was derived from a GGA-PBE-relaxed structure, using Cu Kα.

Main lines, in order of rising 2θ (2θ from 10° to 90°):
30.6 deg, d 2.917, rel. 14.0
30.8 deg, d 2.904, rel. 37.5
36.1 deg, d 2.489, rel. 39.1
36.2 deg, d 2.480, rel. 100.0
37.7 deg, d 2.387, rel. 11.2
37.9 deg, d 2.373, rel. 31.0
54.7 deg, d 1.678, rel. 12.9
58.3 deg, d 1.583, rel. 40.7
63.8 deg, d 1.459, rel. 19.3
64.1 deg, d 1.452, rel. 19.0

Atomic structure:
```
data_NdH8Pd3Pt2
_cell_length_a 5.8341
_cell_length_b 5.8341
_cell_length_c 5.8341
_cell_angle_alpha 59.70
_cell_angle_beta 59.70
_cell_angle_gamma 59.70
_symmetry_space_group_name_H-M 'P 1'
_symmetry_Int_Tables_number 1
_symmetry_space_group_name_Hall 'P 1'
loop_
_atom_site_label
=====
The records of crystals stop here

   Mother smiled at us. "Alright, enough with conversation. Let's enjoy our meal before it gets cold."

We were halfway through our breakfast when Prince Fraser walked into the dining room.

Clad in his customary royal attire of a white long-sleeved shirt and black trousers, he looked particularly striking today. For some reason, he exuded a sense of maturity that I hadn't noticed before.

   I quickly glanced at Prince Fraser before diverting my eyes, not wanting him to catch me checking him out. Despite our conversation yesterday, I still felt unsure about how to behave around him. It was hard to believe that a fourteen-year-old boy could make me fluster like this.

"Good morning, Count Waltier, Countess Marcelle, Csille," he greeted as he approached, taking a seat beside me.

   I avoided making eye contact with Prince Fraser and focused on my meal. Out of sight, out of mind Ysavel.

Unrelated to this piece: materials data:
+++
Starting from a GGA-PBE-relaxed structure, the powder X-ray diffraction pattern of Sm4MgRh was computed for CuKα.
Kinematic intensities with the Lorentz-polarization factor, no thermal factor.

Atomic structure:
Cell lengths 14.000, 14.000, 14.000 Å; angles 90.00, 90.00, 90.00 degrees
Space group F-43m (No. 216)
Unique sites:
Sm 0.000 0.000 0.186 x24
Sm 0.062 0.250 0.750 x24
Sm 0.097 0.097 0.403 x16
Mg 0.171 0.171 0.171 x16
Rh 0.108 0.108 0.608 x16

Principal peaks in the range 15° ≤ 2θ ≤ 90°, by intensity:
two_theta	Rel. int.	hkl
33.25	100.0	5 1 1
31.30	54.4	4 2 2
55.71	51.4	6 6 0
27.78	42.9	3 3 1
36.30	32.9	4 4 0
83.77	16.0	11 5 1
85.52	15.9	10 6 4
56.96	14.8	5 5 5
53.58	13.9	7 3 3
69.45	12.2	9 5 1
66.45	11.8	9 3 3
46.31	10.6	5 5 1



Starting from a GGA-PBE-relaxed structure, the powder X-ray diffraction pattern of ThMgRh2 was computed for CuKα.
Kinematic intensities with the Lorentz-polarization factor, no thermal factor.

Atomic structure:
Cell lengths 6.784, 6.784, 6.784 Å; angles 90.00, 90.00, 90.00 degrees
Space group Fm-3m (No. 225)
Unique sites:
Th 0.000 0.000 0.000 x4
Mg 0.000 0.000 0.500 x4
Rh 0.250 0.250 0.250 x8

Principal peaks in the range 15° ≤ 2θ ≤ 90°, by intensity:
two_theta	Rel. int.	hkl
37.50	100.0	2 2 0
22.70	43.1	1 1 1
67.66	35.4	4 2 2
44.28	23.5	3 1 1
54.07	17.4	4 0 0
80.00	11.1	4 4 0
59.38	10.1	3 3 1
84.49	7.9	5 3 1
72.38	7.7	5 1 1
26.27	0.7	2 0 0



Starting from a GGA-PBE-relaxed structure, the powder X-ray diffraction pattern of Tm4MgRh was computed for CuKα.
Kinematic intensities with the Lorentz-polarization factor, no thermal factor.

Atomic structure:
Cell lengths 13.552, 13.552, 13.552 Å; angles 90.00, 90.00, 90.00 degrees
Space group F-43m (No. 216)
Unique sites:
Tm 0.000 0.000 0.186 x24
Tm 0.063 0.250 0.750 x24
Tm 0.097 0.097 0.403 x16
Mg 0.170 0.170 0.170 x16
Rh 0.108 0.108 0.608 x16

Principal peaks in the range 15° ≤ 2θ ≤ 90°, by intensity:
two_theta	Rel. int.	hkl
34.39	100.0	5 1 1
32.36	56.8	4 2 2
57.72	52.6	6 6 0
28.71	47.0	3 3 1
37.54	31.9	4 4 0
87.22	16.7	11 5 1
89.07	16.5	10 6 4
55.50	15.2	7 3 3
59.03	14.8	5 5 5
68.95	11.9	9 3 3
72.09	11.8	9 5 1
47.94	10.7	5 5 1



Starting from a GGA-PBE-relaxed structure, the powder X-ray diffraction pattern of TmMgRh2 was computed for CuKα.
Kinematic intensities with the Lorentz-polarization factor, no thermal factor.

Atomic structure:
Cell lengths 6.520, 6.520, 6.520 Å; angles 90.00, 90.00, 90.00 degrees
Space group Fm-3m (No. 225)
Unique sites:
Tm 0.000 0.000 0.000 x4
Mg 0.000 0.000 0.500 x4
Rh 0.250 0.250 0.250 x8

Principal peaks in the range 15° ≤ 2θ ≤ 90°, by intensity:
two_theta	Rel. int.	hkl
39.07	100.0	2 2 0
70.79	34.0	4 2 2
23.63	30.0	1 1 1
56.45	16.9	4 0 0
46.17	15.5	3 1 1
83.95	10.8	4 4 0
62.04	6.5	3 3 1
88.77	5.2	5 3 1
75.81	4.9	5 1 1



Starting from a GGA-PBE-relaxed structure, the powder X-ray diffraction pattern of MgZnRh2 was computed for CuKα.
Kinematic intensities with the Lorentz-polarization factor, no thermal factor.

Atomic structure:
+++
The materials data stop here:

"Good morning, Prince Fraser. Did you manage to get some sleep? I heard from the doctor that you were up all night due to the operation," my father inquired, gesturing for one of the maids to serve the Crown Prince.

   My ears perk up by the word operation. True to Prince Fraser's words. The doctor that the King sent arrived in the western region last night. I hadn't been aware since I had already fallen asleep by then.

"Oh, dear! You should have gotten some rest, Prince Fraser. You barely slept the other night either. It's not good for your health," my mother expressed, her concern evident in her tone.

   "Countess, don't worry, I managed to rest yesterday afternoon. And I did get an hour or two of sleep last night," Prince Fraser reassured my mother.

Father intervened, signaling to my mother to stop worrying, and encouraged Prince Fraser to eat his breakfast.

I was busy eating my own share when I heard someone whispered beside me. "Good morning."

I paused for a moment, then resumed eating, trying to ignore Prince Fraser's presence. You didn't hear anything, Ysavel. This pudding tastes delicious. I thought to myself, taking another bite.

Then, Prince Fraser whispered on my ears again. "Did you sleep well, Csille? Because I didn't. I was thinking about someone. Do you know who is it?" His voice was barely audible, meant only for the two of us.

I took a sip of my hibiscus tea, relishing its wonderful flavor. Hmm. This tastes wonderful too. I thought to myself, trying to focus on the tea. I don't hear anything. You don't hear anything, Csille.

It's as if I care who you think about. You could think about anyone, be it Audrey Hepburn, Natalie Portman, or Gal Gadot. I don't care. Just let me eat my breakfast at ease.

"Are you mad? Why are you ignoring me?" Prince Fraser whispered again, this time with a hint of frustration in his voice.

I continued to focus on my breakfast, pretending not to hear him. It was as if he didn't exist in the dining room.

I couldn't bring myself to face him after what happened yesterday. Everything was spiraling out of control, and I didn't like how I was responding to it.

As Prince Fraser was about to whisper something again, Father asked about what happened last night.

"The doctor from the capital performed an operation on Farren, correct? Did the operation go well, Prince Fraser? Is Farren stable now?"

I silently sighed in relief, grateful for Father's interruption. He unknowingly saved me from a difficult conversation.

Crystal structures, as found in the file:
=====
[1]
For ThNbFeSi2, a DFT-relaxed cell (PBE, Alexandria) gives the theoretical X-ray diffraction stick pattern in this record (a wavelength of 1.5418 Å).
Lines closer than 0.1° are merged.

Cell and atoms:
Cell lengths 4.0444, 4.0444, 11.1700 Å; angles 90.00, 90.00, 90.00 degrees
Sites, in units of the cell vectors:
Th  0.0000  0.0000  0.0000
Th  0.5000  0.5000  0.5000
Nb  0.0000  0.5000  0.7500
Nb  0.5000  0.0000  0.2500
Fe  0.0000  0.5000  0.2500
Fe  0.5000  0.0000  0.7500
Si  0.0000  0.0000  0.3883
Si  0.0000  0.0000  0.6117
Si  0.5000  0.5000  0.1117
Si  0.5000  0.5000  0.8883

Peak list (10 most intense, 2θ from 15° to 90°, low angle first)
(1 0 1), 2θ 23.4, intensity 61
(0 0 4), 2θ 32.1, intensity 22
(1 0 3), 2θ 32.7, intensity 53
(1 1 2), 2θ 35.3, intensity 100
(2 0 0), 2θ 44.8, intensity 32
(1 0 5), 2θ 46.4, intensity 24
(2 0 4), 2θ 56.2, intensity 18
(2 1 3), 2θ 56.6, intensity 23
(1 1 6), 2θ 59.2, intensity 18
(3 1 2), 2θ 76.4, intensity 21



[2]
For Bi, a DFT-relaxed cell (PBE, Alexandria) gives the theoretical X-ray diffraction stick pattern in this record (a wavelength of 1.5418 Å).
Lines closer than 0.1° are merged.

Cell and atoms:
Cell lengths 3.9834, 3.9834, 3.9834 Å; angles 90.00, 90.00, 90.00 degrees
Sites, in units of the cell vectors:
Bi  0.0000  0.0000  0.0000
Bi  0.5000  0.5000  0.5000

Peak list (6 most intense, 2θ from 15° to 90°, low angle first)
(1 1 0), 2θ 31.8, intensity 100
(2 0 0), 2θ 45.5, intensity 19
(2 1 1), 2θ 56.6, intensity 40
(2 2 0), 2θ 66.4, intensity 13
(3 1 0), 2θ 75.5, intensity 18
(2 2 2), 2θ 84.2, intensity 5



[3]
For SmHfSc, a DFT-relaxed cell (PBE, Alexandria) gives the theoretical X-ray diffraction stick pattern in this record (a wavelength of 1.5418 Å).
Lines closer than 0.1° are merged.

Cell and atoms:
Cell lengths 3.3414, 4.5695, 10.2532 Å; angles 90.00, 90.34, 90.00 degrees
Sites, in units of the cell vectors:
Sm  0.2499  0.2500  0.0990
Sm  0.7501  0.7500  0.9010
Hf  0.2495  0.2500  0.4264
Hf  0.7505  0.7500  0.5736
Sc  0.2496  0.2500  0.7230
Sc  0.7504  0.7500  0.2770

Peak list (10 most intense, 2θ from 15° to 90°, low angle first)
(0 0 2), 2θ 17.3, intensity 21
(0 1 1), 2θ 21.3, intensity 32
(1 0 1), 2θ 28.1, intensity 16
(0 1 3), 2θ 32.7, intensity 96
(1 1 0), 2θ 33.2, intensity 100
(1 0 -3), 2θ 37.5, intensity 40
(1 0 3), 2θ 37.8, intensity 39
(0 2 0), 2θ 39.4, intensity 31
(1 2 -3), 2θ 55.6, intensity 21
(1 2 3), 2θ 55.7, intensity 21



[4]
For LaPmCo5, a DFT-relaxed cell (PBE, Alexandria) gives the theoretical X-ray diffraction stick pattern in this record (a wavelength of 1.5418 Å).
Lines closer than 0.1° are merged.

Cell and atoms:
Cell lengths 8.6916, 4.9154, 10.8052 Å; angles 90.00, 90.00, 90.00 degrees
Sites, in units of the cell vectors:
La  0.1269  0.2500  0.1146
La  0.3731  0.7500  0.6146
La  0.6269  0.2500  0.3854
La  0.8731  0.7500  0.8854
Pm  0.2389  0.2500  0.4212
Pm  0.2611  0.7500  0.9212
Pm  0.7389  0.2500  0.0788
Pm  0.7611  0.7500  0.5788
Co  0.0517  0.7500  0.4832
=====

"Yes, Count. It's fortunate that Doctor Marcus was the one who came."

Doctor Marcus? The renowned physician of the Vrawyth Kingdom. Although he doesn't serve as a royal physician, he holds a senior position at Holycross Hospital, where Brother Pascal works. Known for his exceptional skill, he's often referred to as a healer with miraculous abilities, as many of his patients have recovered from serious illnesses under his care.

   It's the same Doctor who played a significant role in the first version of the novel. He's the one who refused to save that person. If only he had acted differently, that person might still be alive...

I shake my head, realizing it's futile to dwell on it. But I can make a difference in the future. I'll do everything I can to save you.

"Doctor Marcus. It's reassuring that he was chosen by the King. How is Sir Farren's condition now? Is Sir Farren's condition stable already?"

Father looked at Prince Fraser, who finished swallowing before responding. "Doctor Marcus said that the operation went smoothly. However, we still need to monitor him for a day to ensure his condition stabilizes."

"Oh, my, I pray Sir Farren will recover swiftly. He seems like a good man," Mother remarked.

I glanced at Mother. Naturally, he's a good person, Mother. So good that everyone can't help but admire him.

  I swiftly finished my meal and exited the dining room, eager to put some distance between Prince Fraser and me.

I made my way towards Princess Paislee's room, my mind buzzing with thoughts. Whatever occurred last night, I suspected that Doctor Marcus now knew Princess Paislee's true identity.

   I look around first, and when I see that no one is around, I immediately went inside the room and locked it. It's better to be safe than sorry.

  I stare at Princess Paislee and notice that although she still appears pale, there's a hint of color returning to her complexion, a positive indicator of her recovery from the previous blood loss.

I approach her bedside and take a seat, offering a heartfelt apology for the ordeal she endured. "Princess Paislee, I'm truly sorry for what you had to endure. I never anticipated such events when I penned that scene. Please accept my apologies," I whispered sincerely.

I sigh and gaze out the window, feeling a surge of questions flooding my mind. Why is Princess Paislee's condition still so uncertain? This wasn't how it was supposed to go.

And what about the two doctors? Why haven't they mentioned anything about Princess Paislee's disguise? It could pose a significant threat to Prince Fraser's life. While they saved him, it could also be a ploy to gain the Crown Prince's trust. So why haven't they said anything to my father, the count?

  Should I discuss this with my father? He might have information but may not want to involve us. That seems like the first step. But if not, what about the doctors? The initial one appears suspicious. He likely knows more than he's letting on. As for Doctor Marcus, he's highly respected. Will he disclose Princess Paislee's secret to my father?

If he doesn't, Princess Paislee's secret remains safe, but if he does, Prince Fraser's safety could be compromised. It's a dilemma. What will I do?

"Ysavel, don't try to go against what you have written. It will happen no matter how much you try to change it. It will happen. You can never change their destiny. You can never change your destiny."

   But the silhouette man already warned me that I couldn't change what I've written. If my story unfolds as I've written it, then I needn't fret over the two doctors because Princess Paislee's secret will remain safe for now. But in the future, her secret will inevitably come to light, and when that happens, chaos will ensue.

I'm startled by a knock on the door. Glancing at Princess Paislee, I rise from my seat and open the door.

It's Doctor Marcus at the door, flashing me a smile upon seeing me. "Lady Lauretré."

He glances past me to where Princess Paislee rests. "You visited Sir Farren? I didn't realize Lady Lauretré knew Sir Farren. May I?" He gestures to enter.

I step aside to allow him in, viewing it as an opportunity to gauge the situation. It's a risk, but one I'm willing to take.

"I'm not acquainted with him. I'm merely here because Prince Fraser informed me of his unstable condition."

Doctor Marcus approaches Princess Paislee, examining her pulse before taking a seat beside her.

"Is he alright? When will we know if his condition is stable?" I inquire, observing his movements closely. For some reason, his presence makes me uneasy.

It's different from when I first met him. Doctor Marcus and Brother Pascal were good comrades. When I visited Brother Pascal before, as a nine-year-old Csille, he was sweet and friendly to me. However, right now, he has a different aura. Like he's hiding something.

"He's stable for now. However, since he was shot and lost a lot of blood, we still need to wait for a day to see how his body will react to the operation we just performed."

I approach him. "Have you noticed anything wrong with him?"

He pauses what he's doing and slowly meets my gaze. "What do you mean?"

I scrutinize his eyes. They seem clear, devoid of hesitation or concealment. It's as if he genuinely doesn't know anything. Or does he?

I shake my head. "I was concerned that his other organs might have been affected."

"Is that so?" He glances at Princess Paislee. "Apart from the gunshot wound in his appendix, everything seems fine. I didn't expect you to be so worried about Sir Farren, Lady Lauretré."

I stare at him carefully. Despite his teasing tone, my instincts tell me there's more to his words.

"I'm just showing my concern. He saved Prince Fraser and put his life on the line for the Crown Prince. It's only natural to worry about his health. Please, don't misunderstand."

Doctor Marcus studies me for a moment before nodding. "Understood, Lady Lauretré."

He gathers his belongings. "If there's nothing else, I'll take my leave first, Lady Lauretré."

I nodded at him and watched him walk out of the room. After he left, I approached Princess Paislee and gently held her hand.

"Please be okay, Princess Paislee," I whispered softly to her. Just then, I heard someone calling my name loudly.


I stood frozen in place, feeling a surge of panic. Why does this always happen at the worst times?